ASP Abridged: Wandering in Circles

We are pleased to present the latest in our ASP Abridged blog series, in which authors give readers a short and sweet introduction to their latest book.

Here, Jill Martiniuk introduces us to her new book, Wandering in Circles: Venichka’s Journey of Redemption in “Moskva-Petushki”.

Molecular data from another source follow:
-- begin --
# C24H26MnN5

C24H26MnN5 as an isolated structure (wB97M-V/def2-TZVPD, OMol25).

Each line ends with the Löwdin charge.
Cartesian coordinates (Å):
N -1.34740 0.10806 1.00312  -0.074
C 0.97231 -2.86740 -2.54047  -0.028
H 0.55342 -2.26372 -3.34860  0.081
H 3.06963 1.21207 0.17192  0.072
H -0.09594 5.77107 3.44813  0.115
H -4.51690 -2.29600 1.29552  0.124
C 1.81556 -0.89884 -1.11594  -0.279
C 2.56124 -0.24264 -2.24012  -0.027
H 1.92191 1.20895 1.51153  0.071
H -0.94909 -3.57086 1.01219  0.077
C 0.98048 -1.64083 2.46673  -0.013
C -4.19027 -3.21740 -0.62659  -0.033
C 1.08485 -2.10601 -1.25292  -0.273
H 0.57245 -4.45239 0.98894  0.096
C -2.28567 -2.36398 -1.78595  -0.093
C 0.57559 4.16537 0.02172  -0.169
H -3.57374 -3.86976 -2.58713  0.116
C 0.46767 2.26871 -1.41722  -0.105
H 1.80007 -2.18291 2.94450  0.096
C 2.58837 0.57918 0.91792  -0.011
N -0.12385 1.50743 -0.54928  0.088
H 0.05315 -2.15199 2.72718  0.079
H 3.11348 0.63473 -1.90448  0.072
H 1.25063 4.06150 -1.94801  0.166
C -2.46655 -0.45982 1.24764  -0.017
C 0.96315 5.48216 0.24433  -0.003
H -0.39110 -4.32278 -0.47791  0.072
N -1.08145 1.33124 1.57231  0.135
H 0.36143 -3.76226 -2.43312  0.072
C -0.05369 3.41903 1.01551  -0.091
C -3.90348 -2.34254 0.40592  0.000
C -2.80418 -1.50564 0.28809  -0.235
H 1.01636 7.07105 1.66193  0.117
H 0.71648 1.85971 -2.38805  0.138
C 1.86781 -0.57139 0.27842  -0.262
C -3.37400 -3.21845 -1.74848  -0.026
C 0.71813 6.04793 1.47805  -0.047
H -5.04079 -3.88220 -0.56295  0.119
H 1.90974 0.05448 -3.06576  0.075
C -0.29464 4.01080 2.25825  0.002
H -1.62394 -2.34832 -2.64047  0.108
H -0.78650 3.42699 3.02350  0.119
H 1.44995 6.04855 -0.53986  0.121
C 1.17947 -1.59172 0.98464  -0.255
H 1.96361 -3.18845 -2.86887  0.093
C 0.68076 -2.53179 0.04974  -0.253
H 3.28860 -0.94011 -2.66141  0.093
H 0.94910 -0.63963 2.89753  0.079
H 3.36969 0.22081 1.59009  0.095
H -3.15937 -0.07768 1.98979  0.140
C -0.44121 2.04885 0.71213  -0.262
C 0.09040 5.31358 2.48667  -0.050
N -1.98980 -1.52310 -0.79491  0.062
C -0.06322 -3.78172 0.40860  -0.011
N 0.80663 3.54225 -1.20725  0.144
Mn -0.15537 -0.58218 -0.39680  0.581

The value obtained for the energy above the lowest of the compared OMol25 structures with the same formula, charge and spin is 0.080 eV. As for the total energy: -2354.7543 Eh. Its multiplicity is 2. The charge is +1. The HOMO energy (spin up / spin down) comes out at -10.580 / -10.446 eV. For the frontier orbital gap (spin up / spin down), the calculation gives 7.23 / 7.08 eV.


The following is a quantum chemistry calculation of a cluster of 4 separate species, C26H58F5N4S in total, from the OMol25 dataset.

Results
Energy above the lowest of the compared OMol25 structures with the same formula, charge and spin, eV: 0.000
2S+1: 1
Net charge: -1
HOMO, eV: -1.95
E_tot, eV: -58285.1543
Maximum force, eV/Å: 0.6

Last columns: bonded neighbours and bond lengths (Å).
CARTESIAN COORDINATES (ANGSTROEM)
1 F 4.87805 -0.39002 3.24120  C2 1.343
-- stop --
Here the entry continues:

Tell us what Wandering in Circles is about in simple terms.

On its surface, it’s another interpretation of Venichka’s trip in Erofeev’s Moskva-Petushki (translated in English as Moscow to the End of the Line). As readers familiar with Erofeev’s work know, there are so many references and allusions to other works of literature, music, and art scattered throughout the poemaWandering in Circles explores a particular subset of those references: ones that deal with the idea of redemption. Wandering in Circles examines the relationship between Moskva-Petushki and other major journeys of redemption both in Russia and in the West—Radishchev’s Journey from St. Petersburg to Moscow, Milton’s Paradise Lost, and Dante’s The Divine Comedy. These different works represent three different versions of redemption: social, political, and religious, and each of the aforementioned works reflects Erofeev’s view on what redemption meant during that period. Since each work treats redemption as a journey, the book begins with an exploration of how Moskva-Petushki is a work of travel literature and how that acts as a commentary on the travel narratives and travel guides that were being published in the Soviet Union around the time that Erofeev wrote it. With each subsequent chapter, I wanted to examine why Erofeev ultimately rejects each of these versions of redemption as a possibility for his protagonist. 

Radishchev, Dante, and Milton each faced forms of persecution in their respective societies. Radishchev was exiled for writing Journey from St. Petersburg to Moscow, yet he still saw the possibility of change for Russia and her people. Likewise, Dante was exiled from his beloved Florence and his reputation was destroyed in the city, but he still believed that he would be redeemed, and his reputation restored. Milton was jailed in 1659 for his support of Oliver Cromwell and subsequently went into hiding but was able to return to society and his writing after his self-imposed exile. Each of these writers presents redemption as a journey that has confrontations, missteps, and challenges along the way, but all three ultimately show that redemption is a destination that can be reached. Erofeev, in Moskva-Petushki, rejects the possibility entirely, and so the book explores how Erofeev acknowledges each of these journeys and what they represent to the writer and reader, and then how he shows them as impossibilities for those who existed within the broken system of the Soviet Union. 

How does Wandering in Circles make a unique contribution to the field?

Although there are so many elements of parody and humor in Moskva-Petushki, there are real moments of grief and anguish that subvert the humor. As readers, we know that Venichka’s journey is doomed even before he sets foot on the train for that final time. His twelve previous attempts all ended with failure, and this final attempt will be the same. What I hope that the book shows is that Erofeev deeply understands that there are many paths to redemption whether it be social, spiritual, or political redemption, and by engaging with aspects of those models throughout Venichka’s final attempt, he rejects them. The endings of the three works I selected all show redemption as a glorious destination—the ending of Inferno in particular—is beautiful. Dante leaves hell (he hasn’t even reached purgatory yet!) and sees those beautiful stars so he knows he’s on the correct path. I hope that my book shows that Erofeev understood that redemption, even if someone desperately wanted it, was a real impossibility for so many during that time. 

Jill Martiniuk is an Assistant Professor of Teaching in the Department of Engineering Education at the University of Buffalo. In addition to her research on redemption in Russian literature, she has published on adaptation of Russian texts in contemporary Western literature.

Quantum chemistry results that have nothing to do with the entry:
- - -
DFT (ωB97M-V/def2-TZVPD) results for a 10-piece molecular cluster, C29H46BCl27O3 overall in a non-equilibrium geometry.

Each line ends with the Mulliken charge.
Atoms and positions in Å:
C (0.2540, -2.7466, -2.1331)  -0.617
C (0.1023, -1.3018, -2.4531)  -0.167
C (1.2163, -0.1206, -2.2534)  1.195
C (0.5509, 1.2101, -2.9336)  -1.671
C (-0.7496, 1.8258, -2.1501)  0.583
C (-1.9074, 2.4380, -3.1899)  0.532
C (-3.3541, 2.3196, -2.3943)  -0.668
C (-4.1883, 0.9242, -2.7811)  -0.532
C (-3.7820, -0.2629, -1.7270)  0.353
C (-5.0475, -1.2692, -1.3268)  -0.695
C (-4.3173, -2.5974, -0.6195)  -0.023
C (-5.4710, -3.4298, 0.1937)  -0.296
C (2.5171, -0.5381, -3.2168)  -0.667
C (3.3966, -1.4502, -2.1604)  0.293
O (4.4291, -2.2704, -2.3782)  -0.641
O (2.7772, -1.2481, -0.8083)  -0.402
C (1.9819, 0.0252, -0.7742)  0.550
C (2.7876, 1.4494, -0.7264)  -0.478
C (3.5759, 1.7774, 0.6683)  0.023
C (2.6299, 2.5592, 1.8050)  -0.631
C (4.3688, 0.5168, 1.3491)  -0.573
B (0.9286, -0.3405, 0.4795)  0.845
C (-0.2615, 0.6777, 1.0110)  -0.179
O (1.0480, -1.6386, 1.2334)  -0.806
H (0.9692, -3.4811, -2.7291)  0.228
H (-0.3747, -3.1816, -1.2184)  -0.215
H (-0.9287, -0.9792, -2.9556)  0.215
H (0.1712, 0.8929, -4.0172)  0.420
H (1.3195, 2.0911, -3.1091)  0.297
H (-1.2784, 0.9573, -1.5712)  -0.646
H (-0.3671, 2.6467, -1.3884)  0.236
H (-1.6349, 3.5721, -3.3868)  -0.760
H (-1.8531, 1.7816, -4.1703)  0.392
H (-3.9849, 3.2562, -2.7122)  0.367
H (-3.0996, 2.3105, -1.2452)  0.293
H (-3.8487, 0.5952, -3.8761)  0.211
H (-5.3311, 1.1626, -2.7006)  0.286
H (-2.9952, -0.9536, -2.2647)  -0.235
H (-3.2970, 0.1710, -0.7348)  -0.055
H (-5.5926, -1.5374, -2.3273)  0.225
H (-5.7011, -0.6948, -0.5444)  0.309
H (-3.7579, -3.2378, -1.4418)  0.239
H (-3.4981, -2.1919, 0.1451)  0.044
H (-5.0062, -3.8062, 1.2019)  0.168
H (-6.3639, -2.6731, 0.4267)  -0.036
H (-5.8412, -4.3491, -0.4321)  0.074
H (3.1923, 0.3975, -3.4851)  0.337
H (2.2037, -1.1786, -4.1503)  0.401
H (3.5968, 1.4628, -1.5998)  0.293
H (2.0962, 2.3982, -0.9445)  0.115
H (4.4149, 2.5809, 0.3929)  0.351
H (3.4070, 3.1144, 2.5132)  0.231
H (2.1512, 1.7089, 2.4856)  0.105
H (1.8403, 3.2779, 1.3264)  0.168
H (3.6128, -0.1573, 1.9348)  0.185
H (5.2943, 0.8792, 1.9767)  -0.041
H (4.8098, -0.1351, 0.4608)  0.215
H (-1.3397, 0.3393, 0.6435)  -0.107
H (-0.0678, 1.7739, 0.5930)  0.026
H (-0.3285, 0.7795, 2.1755)  0.229
H (0.6228, -2.3825, 0.7142)  0.225
C (2.4113, 4.2118, 5.6760)  -0.085
Cl (3.3772, 5.5198, 4.9723)  -0.123
Cl (0.9407, 3.9433, 4.7248)  -0.086
Cl (3.3645, 2.7219, 5.7814)  -0.095
H (2.1185, 4.5055, 6.6873)  0.366
C (-3.1969, -6.5467, 0.7317)  -0.074
Cl (-2.2310, -5.2387, 0.0280)  -0.041
Cl (-4.6676, -6.8152, -0.2195)  -0.083
Cl (-2.2437, -8.0366, 0.8371)  -0.128
H (-3.4897, -6.2530, 1.7430)  0.290
C (-1.3456, 1.6591, 7.0174)  -0.059
Cl (-0.2107, 0.9649, 5.8473)  -0.047
Cl (-0.4940, 2.1597, 8.4885)  -0.122
Cl (-2.2137, 3.0294, 6.3045)  -0.114
H (-2.0756, 0.8914, 7.2865)  0.345
C (8.6694, 1.7269, 3.1591)  0.658
- - -
The quantum chemistry results stop here:

Wandering in Circles is available now for purchase from ASP or wherever you buy your books.